Type out all of the contents further below unchanged.

____________
No. 1
Density functional theory data (ωB97M-V/def2-TZVPD) for the molecule C9H10N4 at a distorted geometry.

Each line ends with the natural charge from an NBO analysis.
Element x y z (Å)
C: 0.2196 -2.8734 1.6986  -0.45
N: -0.7429 -1.7990 1.9656  -0.22
C: -1.7170 -1.9865 2.9843  -0.42
N: -0.7698 -0.5214 1.5247  0.05
N: 0.0334 -0.4050 0.5339  -0.32
C: -0.0345 0.7465 -0.2285  0.11
C: -0.6517 1.9344 0.0628  -0.23
C: -0.7494 2.9760 -0.8754  -0.18
C: 0.1299 2.9364 -1.9845  -0.23
C: 0.8308 1.7793 -2.3064  -0.16
C: 0.7322 0.6754 -1.3698  -0.15
C: 1.4868 -0.5352 -1.7766  0.29
N: 2.0739 -1.5029 -2.1001  -0.33
H: 0.2928 -3.0101 0.6022  0.24
H: 1.2498 -2.4528 2.0054  0.22
H: -0.1243 -3.7946 2.1950  0.22
H: -2.2820 -3.0462 3.0095  0.20
H: -2.4922 -1.2234 2.8861  0.24
H: -1.2594 -2.1784 4.0307  0.19
H: -1.3824 2.0078 0.9618  0.23
H: -1.4341 3.8770 -0.6491  0.23
H: 0.2568 3.8223 -2.6386  0.22
H: 1.5336 1.6787 -3.0987  0.23

Properties
LUMO = 0.07 eV
Kohn-Sham gap = 8.38 eV
energy above the lowest of the compared OMol25 structures with the same formula, charge and spin = 90.2 kcal/mol
SMILES = CN(C)/N=N/c1ccccc1C#N

---

No. 2
Density functional theory data (ωB97M-V/def2-TZVPD) for a structure of composition C8H15ClI2N2OPSYb at a distorted geometry.

Each line ends with the Mulliken spin population.
Element x y z (Å)
I: 4.1496 1.6301 -0.1906  0.13
I: 4.4902 -1.5639 -0.1897  0.73
Yb: 1.4626 1.1172 0.5659  0.17
P: -0.7749 0.0473 -2.3889  -0.04
C: 0.2384 0.0645 -3.8645  -0.01
C: -1.7700 -1.4647 -2.4731  0.00
H: -2.4437 1.5636 -1.5275  0.00
H: -2.4338 1.5009 -3.3200  0.00
H: -1.1785 2.4155 -2.4381  0.00
C: -1.8158 1.5291 -2.4162  0.00
H: -2.3858 -1.5716 -1.5838  0.00
H: -2.4065 -1.4473 -3.3637  0.00
H: -0.4095 0.0973 -4.7415  0.00
H: 0.8430 -0.8374 -3.9030  0.00
H: -1.1000 -2.3233 -2.5216  0.00
H: 0.8774 0.9414 -3.8369  0.00
C: 1.8474 -0.0541 -1.4342  0.00
O: 2.2564 -0.6024 -2.3664  0.00
Cl: -0.5651 -0.3706 0.2106  0.02
C: -0.7909 -1.7085 4.5847  0.00
N: -0.9584 -0.3658 4.0786  0.00
C: -1.9534 0.5447 4.4561  0.00
C: -1.6530 1.7361 3.8898  0.00
N: -0.5222 1.5459 3.1144  0.00
C: -0.0098 0.3048 3.3788  0.00
S: 1.5932 -0.0425 3.0782  0.01
H: -0.9494 -2.4661 3.8091  0.00
H: 0.2327 -1.8404 4.9440  0.00
H: -1.5014 -1.8680 5.3809  0.00
H: -2.7868 0.3251 5.0876  0.00
H: -2.0882 2.7266 3.9222  0.00
H: 0.0967 2.3384 2.8947  0.00

Properties
LUMO (alpha / beta) = -10.60 / -10.44 eV
Kohn-Sham gap (alpha / beta) = 2.91 / 3.72 eV
net charge = +2
spin multiplicity = 2

---

No. 3
Density functional theory data (ωB97M-V/def2-TZVPD) for the molecule C3H4N2O at a distorted geometry.

Each line ends with the natural charge from an NBO analysis.
Element x y z (Å)
O: -1.2439 1.6987 0.4621  -0.65
C: -0.4073 0.8417 0.1282  0.60
C: -0.9465 -0.6229 -0.0036  -0.32
N: 0.1784 -1.5599 -0.0934  -0.34
C: 1.3200 -1.2102 -0.1346  0.34
N: 0.8855 0.9734 -0.2117  -0.86
H: -1.5609 -0.8837 0.8651  0.25
H: -1.5654 -0.7352 -0.9032  0.24
H: 2.0499 -0.3755 -0.1612  0.35
H: 1.2902 1.8736 0.0522  0.39

Properties
LUMO (alpha / beta) = -0.95 / -0.95 eV
Kohn-Sham gap (alpha / beta) = 8.15 / 8.15 eV
energy above the lowest of the compared OMol25 structures with the same formula, charge and spin = 91.3 kcal/mol

---

No. 4
Density functional theory data (ωB97M-V/def2-TZVPD) for the molecule C13H23NO3.

Each line ends with the natural charge from an NBO analysis.
Element x y z (Å)
C: 3.1416 2.8727 3.9951  -0.61
C: 2.0304 3.4014 3.0952  -0.39
C: 1.2699 2.2981 2.3574  -0.39
C: 2.1083 1.6076 1.2835  -0.39
C: 1.3587 0.4841 0.5658  -0.40
C: 0.2055 0.9881 -0.2994  -0.38
C: -0.3788 -0.1100 -1.1860  -0.24
C: -1.4644 0.3861 -2.1003  0.24
N: -1.3638 1.4947 -2.6944  -0.15
O: -2.4444 1.8438 -3.5161  -0.58
C: -2.6001 -0.5934 -2.1480  -0.48
C: -2.0684 -1.8270 -1.4232  -0.38
C: -1.0520 -1.2603 -0.4172  -0.33
C: -0.0631 -2.3222 -0.0041  0.82
O: 0.7718 -2.8058 -0.7225  -0.61
O: -0.2423 -2.6871 1.2717  -0.51
C: 0.6272 -3.6986 1.7627  -0.26
H: 2.7436 2.1530 4.7076  0.20
H: 3.9205 2.3868 3.4134  0.20
____________

No. 1
Density functional theory data (ωB97M-V/def2-TZVPD) for the molecule C9H10N4 at a distorted geometry.

Each line ends with the natural charge from an NBO analysis.
Element x y z (Å)
C: 0.2196 -2.8734 1.6986  -0.45
N: -0.7429 -1.7990 1.9656  -0.22
C: -1.7170 -1.9865 2.9843  -0.42
N: -0.7698 -0.5214 1.5247  0.05
N: 0.0334 -0.4050 0.5339  -0.32
C: -0.0345 0.7465 -0.2285  0.11
C: -0.6517 1.9344 0.0628  -0.23
C: -0.7494 2.9760 -0.8754  -0.18
C: 0.1299 2.9364 -1.9845  -0.23
C: 0.8308 1.7793 -2.3064  -0.16
C: 0.7322 0.6754 -1.3698  -0.15
C: 1.4868 -0.5352 -1.7766  0.29
N: 2.0739 -1.5029 -2.1001  -0.33
H: 0.2928 -3.0101 0.6022  0.24
H: 1.2498 -2.4528 2.0054  0.22
H: -0.1243 -3.7946 2.1950  0.22
H: -2.2820 -3.0462 3.0095  0.20
H: -2.4922 -1.2234 2.8861  0.24
H: -1.2594 -2.1784 4.0307  0.19
H: -1.3824 2.0078 0.9618  0.23
H: -1.4341 3.8770 -0.6491  0.23
H: 0.2568 3.8223 -2.6386  0.22
H: 1.5336 1.6787 -3.0987  0.23

Properties
LUMO = 0.07 eV
Kohn-Sham gap = 8.38 eV
energy above the lowest of the compared OMol25 structures with the same formula, charge and spin = 90.2 kcal/mol
SMILES = CN(C)/N=N/c1ccccc1C#N

---

No. 2
Density functional theory data (ωB97M-V/def2-TZVPD) for a structure of composition C8H15ClI2N2OPSYb at a distorted geometry.

Each line ends with the Mulliken spin population.
Element x y z (Å)
I: 4.1496 1.6301 -0.1906  0.13
I: 4.4902 -1.5639 -0.1897  0.73
Yb: 1.4626 1.1172 0.5659  0.17
P: -0.7749 0.0473 -2.3889  -0.04
C: 0.2384 0.0645 -3.8645  -0.01
C: -1.7700 -1.4647 -2.4731  0.00
H: -2.4437 1.5636 -1.5275  0.00
H: -2.4338 1.5009 -3.3200  0.00
H: -1.1785 2.4155 -2.4381  0.00
C: -1.8158 1.5291 -2.4162  0.00
H: -2.3858 -1.5716 -1.5838  0.00
H: -2.4065 -1.4473 -3.3637  0.00
H: -0.4095 0.0973 -4.7415  0.00
H: 0.8430 -0.8374 -3.9030  0.00
H: -1.1000 -2.3233 -2.5216  0.00
H: 0.8774 0.9414 -3.8369  0.00
C: 1.8474 -0.0541 -1.4342  0.00
O: 2.2564 -0.6024 -2.3664  0.00
Cl: -0.5651 -0.3706 0.2106  0.02
C: -0.7909 -1.7085 4.5847  0.00
N: -0.9584 -0.3658 4.0786  0.00
C: -1.9534 0.5447 4.4561  0.00
C: -1.6530 1.7361 3.8898  0.00
N: -0.5222 1.5459 3.1144  0.00
C: -0.0098 0.3048 3.3788  0.00
S: 1.5932 -0.0425 3.0782  0.01
H: -0.9494 -2.4661 3.8091  0.00
H: 0.2327 -1.8404 4.9440  0.00
H: -1.5014 -1.8680 5.3809  0.00
H: -2.7868 0.3251 5.0876  0.00
H: -2.0882 2.7266 3.9222  0.00
H: 0.0967 2.3384 2.8947  0.00

Properties
LUMO (alpha / beta) = -10.60 / -10.44 eV
Kohn-Sham gap (alpha / beta) = 2.91 / 3.72 eV
net charge = +2
spin multiplicity = 2

---

No. 3
Density functional theory data (ωB97M-V/def2-TZVPD) for the molecule C3H4N2O at a distorted geometry.

Each line ends with the natural charge from an NBO analysis.
Element x y z (Å)
O: -1.2439 1.6987 0.4621  -0.65
C: -0.4073 0.8417 0.1282  0.60
C: -0.9465 -0.6229 -0.0036  -0.32
N: 0.1784 -1.5599 -0.0934  -0.34
C: 1.3200 -1.2102 -0.1346  0.34
N: 0.8855 0.9734 -0.2117  -0.86
H: -1.5609 -0.8837 0.8651  0.25
H: -1.5654 -0.7352 -0.9032  0.24
H: 2.0499 -0.3755 -0.1612  0.35
H: 1.2902 1.8736 0.0522  0.39

Properties
LUMO (alpha / beta) = -0.95 / -0.95 eV
Kohn-Sham gap (alpha / beta) = 8.15 / 8.15 eV
energy above the lowest of the compared OMol25 structures with the same formula, charge and spin = 91.3 kcal/mol

---

No. 4
Density functional theory data (ωB97M-V/def2-TZVPD) for the molecule C13H23NO3.

Each line ends with the natural charge from an NBO analysis.
Element x y z (Å)
C: 3.1416 2.8727 3.9951  -0.61
C: 2.0304 3.4014 3.0952  -0.39
C: 1.2699 2.2981 2.3574  -0.39
C: 2.1083 1.6076 1.2835  -0.39
C: 1.3587 0.4841 0.5658  -0.40
C: 0.2055 0.9881 -0.2994  -0.38
C: -0.3788 -0.1100 -1.1860  -0.24
C: -1.4644 0.3861 -2.1003  0.24
N: -1.3638 1.4947 -2.6944  -0.15
O: -2.4444 1.8438 -3.5161  -0.58
C: -2.6001 -0.5934 -2.1480  -0.48
C: -2.0684 -1.8270 -1.4232  -0.38
C: -1.0520 -1.2603 -0.4172  -0.33
C: -0.0631 -2.3222 -0.0041  0.82
O: 0.7718 -2.8058 -0.7225  -0.61
O: -0.2423 -2.6871 1.2717  -0.51
C: 0.6272 -3.6986 1.7627  -0.26
H: 2.7436 2.1530 4.7076  0.20
H: 3.9205 2.3868 3.4134  0.20